+++
<a>
The following is a DFT calculation (GGA+U) of MgTiMn3O8 after structural relaxation.

```
data_MgTiMn3O8
_chemical_formula_sum 'Mg1 Ti1 Mn3 O8'
_cell_length_a 5.8887
_cell_length_b 6.0971
_cell_length_c 5.9564
_cell_angle_alpha 59.00
_cell_angle_beta 62.03
_cell_angle_gamma 61.78
_symmetry_space_group_name_H-M 'P 1'
_symmetry_Int_Tables_number 1
loop_
_symmetry_equiv_pos_as_xyz
'x,y,z'
loop_
_atom_site_label
_atom_site_type_symbol
_atom_site_fract_x
_atom_site_fract_y
_atom_site_fract_z
Mg1 Mg 0.0020 0.9960 0.9982
Ti1 Ti 0.6274 0.5958 0.1413
O1 O 0.4003 0.8180 0.3803
O2 O 0.8413 0.8703 0.8799
O3 O 0.8258 0.4027 0.4062
O4 O 0.4213 0.3648 0.3746
O5 O 0.8703 0.8456 0.4099
O6 O 0.8637 0.4078 0.8705
O7 O 0.3848 0.4108 0.8304
O8 O 0.4131 0.8460 0.8581
Mn1 Mn 0.6231 0.1206 0.6354
Mn2 Mn 0.1280 0.6248 0.6250
Mn3 Mn 0.6199 0.6240 0.6214
```

Summary:
V: 11.86 Å³/atom

***

<b>
The following is a DFT calculation (GGA+U) of MgTiMn3O8 after structural relaxation.

```
data_MgTiMn3O8
_chemical_formula_sum 'Mg1 Ti1 Mn3 O8'
_cell_length_a 5.8705
_cell_length_b 6.0651
_cell_length_c 6.0940
_cell_angle_alpha 57.57
_cell_angle_beta 61.13
_cell_angle_gamma 61.45
_symmetry_space_group_name_H-M 'P 1'
_symmetry_Int_Tables_number 1
loop_
_symmetry_equiv_pos_as_xyz
'x,y,z'
loop_
_atom_site_label
_atom_site_type_symbol
_atom_site_fract_x
_atom_site_fract_y
_atom_site_fract_z
O1 O 0.8786 0.9205 0.3958
O2 O 0.8883 0.4698 0.8283
O3 O 0.4471 0.9147 0.8376
O4 O 0.4390 0.4097 0.3402
O5 O 0.4368 0.4091 0.7925
O6 O 0.8828 0.9170 0.8310
O7 O 0.8899 0.4116 0.3358
O8 O 0.4317 0.8660 0.3475
Mn1 Mn 0.1593 0.6613 0.5842
Mn2 Mn 0.6645 0.1587 0.5885
Mn3 Mn 0.6644 0.6629 0.5894
Ti1 Ti 0.6697 0.6749 0.0712
Mg1 Mg 0.2979 0.2740 0.2080
```

Summary:
V: 11.78 Å³/atom

***

Verdict on stability: <a> comes out at the bottom.

***

<a>
The following is a DFT calculation (GGA+U) of MgScMo3O8 after structural relaxation.

```
data_MgScMo3O8
_chemical_formula_sum 'Mg1 Sc1 Mo3 O8'
_cell_length_a 6.0336
_cell_length_b 6.0273
_cell_length_c 5.0450
_cell_angle_alpha 88.78
_cell_angle_beta 91.23
_cell_angle_gamma 118.02
_symmetry_space_group_name_H-M 'P 1'
_symmetry_Int_Tables_number 1
loop_
_symmetry_equiv_pos_as_xyz
'x,y,z'
loop_
_atom_site_label
_atom_site_type_symbol
_atom_site_fract_x
_atom_site_fract_y
_atom_site_fract_z
Mo1 Mo 0.8333 0.6669 0.2530
Mo2 Mo 0.8339 0.1672 0.2530
Mo3 Mo 0.3336 0.1667 0.2529
O1 O 0.9900 0.4897 0.5115
O2 O 0.0031 0.9970 0.4838
O3 O 0.5007 0.4988 0.4598
O4 O 0.1564 0.3239 0.9953
O5 O 0.6641 0.3368 0.0220
O6 O 0.6770 0.8443 0.9952
O7 O 0.1661 0.8345 0.0459
O8 O 0.5109 0.0097 0.5104
Mg1 Mg 0.8334 0.1663 0.7530
Sc1 Sc 0.3329 0.6668 0.7532
```

Summary:
V: 12.45 Å³/atom

***

<b>
The following is a DFT calculation (GGA+U) of MgScMo3O8 after structural relaxation.

```
data_MgScMo3O8
_chemical_formula_sum 'Mg1 Sc1 Mo3 O8'
_cell_length_a 6.2909
_cell_length_b 6.1115
_cell_length_c 4.9642
_cell_angle_alpha 89.34
_cell_angle_beta 90.66
_cell_angle_gamma 118.90
_symmetry_space_group_name_H-M 'P 1'
_symmetry_Int_Tables_number 1
loop_
_symmetry_equiv_pos_as_xyz
'x,y,z'
loop_
_atom_site_label
_atom_site_type_symbol
_atom_site_fract_x
_atom_site_fract_y
_atom_site_fract_z
O1 O 0.5006 0.4882 0.4907
O2 O 0.6691 0.3423 0.0535
O3 O 0.0096 0.9921 0.4611
O4 O 0.1750 0.3345 0.0204
O5 O 0.6544 0.8184 0.0004
O6 O 0.9793 0.4944 0.4915
O7 O 0.5023 0.0131 0.4948
O8 O 0.1726 0.8415 0.0237
Mg1 Mg 0.6693 0.3335 0.6827
Mo1 Mo 0.8360 0.1560 0.2419
Mo2 Mo 0.3237 0.1607 0.2340
Mo3 Mo 0.8331 0.6851 0.2410
Sc1 Sc 0.3333 0.6653 0.7564
```

Summary:
V: 12.85 Å³/atom

***

<c>
The following is a DFT calculation (GGA+U) of MgScMo3O8 after structural relaxation.

```
data_MgScMo3O8
_chemical_formula_sum 'Mg1 Sc1 Mo3 O8'
_cell_length_a 6.1410
_cell_length_b 6.1989
_cell_length_c 5.1737
_cell_angle_alpha 90.10
_cell_angle_beta 89.15
_cell_angle_gamma 119.21
_symmetry_space_group_name_H-M 'P 1'
_symmetry_Int_Tables_number 1
loop_
_symmetry_equiv_pos_as_xyz
'x,y,z'
loop_
_atom_site_label
+++

Now work out how many lines above have the word "O3" in them; a number is enough.

4